country train country weekly countryies of study c country-style ribs countrycode string countrypresentationme countryside environme countryside impoveris countryside jobholder countryside public go county borough of swa county cork ireland county highway county in england county leix county of columbia fl...
____________
Structure and theoretical X-ray diffraction stick pattern of CeCuW2O8 (a PBE+U-relaxed structure; Cu Kα (weighted mean of Kα1 and Kα2)).
Kinematic intensities with the Lorentz-polarization factor, no thermal factor.

```
12
Lattice="5.1415 0.0000 0.0000 -2.3021 5.6538 0.0000 -0.2709 -2.2556 5.9146" Properties=species:S:1:pos:R:3 pbc="T T T"
Ce 0.0000 0.0000 0.0000
Cu 2.4353 -1.1278 2.9573
W -0.0107 1.2590 3.9029
W 2.5792 2.1392 2.0117
O -1.6455 2.3899 3.9236
O -0.6630 -0.2974 4.5808
O 1.5925 0.5111 3.1087
O 1.9140 1.3253 0.5161
O 0.6544 2.0729 5.3985
O 0.9760 2.8871 2.8059
O 3.2315 3.6956 1.3338
O 4.2140 1.0083 1.9910
```

Most intense lines, 5° ≤ 2θ ≤ 70°, sorted by position:
Position (°2θ)  d (Å)  I (rel.)  (hkl)
18.10  4.902  46  0 1 -1
26.19  3.403  76  -1 1 1
26.35  3.383  100  1 0 1
29.26  3.053  57  1 1 -1
30.79  2.904  53  1 -2 1
33.94  2.641  45  0 2 0

=====

Structure and calculated XRD peak list of Ce3In2Pb3 (a cell relaxed with GGA-PBE; Cu Kα X-rays).

The 10 most intense peaks (2θ from 10° to 90°), sorted by position:
2θ/deg, I_rel
31.96, 100
34.37, 20
37.59, 16
39.11, 15
51.84, 13
53.03, 12
60.05, 15
64.32, 14
66.40, 12
66.81, 12

Atomic structure:
```
data_Ce3In2Pb3
_chemical_formula_sum 'Ce6 In4 Pb6'
_cell_length_a 4.607
_cell_length_b 4.786
_cell_length_c 20.875
_cell_angle_alpha 90.00
_cell_angle_beta 90.00
_cell_angle_gamma 90.00
_symmetry_space_group_name_H-M 'I m m m'
_symmetry_Int_Tables_number 71
_symmetry_space_group_name_Hall '-I 2 2'
loop_
_atom_site_label
_atom_site_fract_x
_atom_site_fract_y
_atom_site_fract_z
Ce1 0.000 0.000 0.000
Ce2 0.000 0.500 0.368
In1 0.000 0.000 0.254
Pb1 0.000 0.000 0.500
Pb2 0.000 0.500 0.122
```

=====

(1)
# Mn6O5F7
Calculated PXRD pattern, copper Kα. Input: DFT lattice parameters and positions (PBE+U).
Neutral-atom scattering factors, no anomalous dispersion.

Cell and atoms:
```
Mn6O5F7
1.0
5.0617 0.0000 0.0000
0.4425 5.5604 0.0000
1.7150 1.1773 15.0054
Mn O F
12 10 14
Direct
0.0000 0.0000 0.0000
0.0004 0.3690 0.4822
0.0212 0.0383 0.6588
0.0546 0.9935 0.3241
0.4792 0.3414 0.3090
0.4865 0.3520 0.6491
0.4912 0.3566 0.9872
0.4966 0.8345 0.1525
0.5047 0.8276 0.4877
0.5089 0.8229 0.8184
0.9775 0.3563 0.8115
0.9884 0.3368 0.1471
0.1984 0.2730 0.5830
0.2229 0.2170 0.2400
0.2617 0.1097 0.0707
0.2646 0.1049 0.7427
0.2784 0.1131 0.4075
0.6875 0.5236 0.5510
0.6896 0.5258 0.8820
0.6967 0.5063 0.2144
0.7664 0.2253 0.0619
0.7840 0.2646 0.7176
0.1912 0.3096 0.9129
0.2201 0.7180 0.2539
0.2251 0.7935 0.5938
0.2287 0.8039 0.9223
0.2756 0.5799 0.0835
0.3100 0.5745 0.7524
0.3241 0.5799 0.4184
0.7411 0.0461 0.8990
0.7480 0.0136 0.2454
0.7528 0.0388 0.5687
0.7743 0.7347 0.0514
0.7839 0.2915 0.3853
0.8323 0.7862 0.7273
0.8510 0.7819 0.4064
```

Top 12 peaks for 10 to 90 degrees two-theta, by angle:
d/Å	I (rel.)
5.543	22.1
3.862	37.1
3.279	100.0
2.956	85.8
2.884	70.9
2.870	72.1
2.772	24.6
2.146	30.6
2.134	30.1
1.889	21.1
1.874	46.1
1.683	34.3

(2)
# MgV2PbO2F8
____________
What is the difference between synchronous and asynchronous code in JavaScript?View answer Synchronous means each operation must wait for the previous one to complete. Asynchronous means an operation can occur while another operation is still being processed. In JavaScript, all code is synchronous ...
Hi! Thanks for this excelent serializer! Please add suport for big.Int and decimal.Big ! My main need is the following golang types (biginteger,native) math/big.Int and (bigdecimal) for others langs I...
DNA-88951 Problems with debugging via XCode when binary is build with strip_absolute_paths_from_debug_symbols DNA-88954 [Win7] Top bar is displayed in popups in non-Aero theme DNA-88966 No accessiblity titles for services icons in home page ...
The following is a computed powder diffraction line list of Eu3Ni7B2. It was derived from a crystal structure in the Materials Project, relaxed with GGA-PBE, using λ = 1.5418 Å (Cu Kα).
Lines closer than 0.1° are merged.

Top 8 peaks for 15° ≤ 2θ ≤ 90°, low angle first:
2θ/deg, I/Imax
31.6, 49
34.3, 39
36.5, 25
39.8, 53
42.6, 100
62.3, 24
67.2, 25
72.3, 21

Cell and atoms:
```
12
Lattice="7.2493 0.0000 0.0000 0.0000 2.6164 4.5246 0.0000 -2.6164 4.5246" Properties=species:S:1:pos:R:3 pbc="T T T"
Eu 0.0000 0.0000 0.0000
Eu 0.0000 0.0000 3.0198
Eu 3.6247 0.0000 3.0188
Ni 0.0000 0.0000 6.0342
database name. 2. mysqlbinlog print a wrong user variable name if there is a "`" in the user variable name. CREATE TABLE IF NOT EXISTS SELECT has the problem on row mode if the table already exists. I used "grep "`\"" *.cc in sql/ to find all code which writes "`" into ...
=0:matrix[row][j]=float("inf")foriinrange(m):forjinrange(n):ifmatrix[i][j]==float("inf"):# 将特殊值置为 0matrix[i][j]=0 问题描述:【Array、Binary Search】74. Search a 2D Matrix 解题思路: 这道题是给一个 m*n 的矩阵,矩阵的行和列的元素都是升序排列,查找是否存在一个数 ...
Exception Code:0x8badf00d, 不太直观,可以读成“eat bad food”,意思是don‘t block main thread 紧接着下面会有一段描述: Application Specific Information: failed to resume in time 对于此类Crash,我们应该去审视自己App初始化时做的事情是否正确,是否在主线程请求了网络,或者其他耗时的事情...
message("1.PROJECT_BINARY_DIR = ${PROJECT_BINARY_DIR}") # option指令:让你可以根据选项值进行条件编译 option(TEST_DEBUG "option for debug" OFF) if (TEST_DEBUG) add_definitions(-DTEST_DEBUG) endif(TEST_DEBUG) # add_definitions:为源文件的编译添加由-D定义的标志,可直接在code中使用,常用于预...
so if you can't find this version on some mirror, please try again later or choose another download site. The following section lists the changes in the MySQL source code since the previous released version of MySQL 5.1. It may also be viewed online at
MessagePack-based messages, or payloads, are sent and received with the total message length prefixed as a 32-bit unsigned integer encoded in four (4) Big-Endian bytes. The implementation is largely based on the length delimited codec provided in the tokio-io module but instead of decoding ...